-- Given --
=====
The following is a calculated X-ray powder pattern of Hg2RhPb6. It was derived from a structure optimized by DFT (PBE), using Cu Kα (weighted mean of Kα1 and Kα2).
Neutral-atom scattering factors, no anomalous dispersion.

Crystal structure
Cell: 4.326 8.210 8.210 Å, 120.15 90.00 90.00°
Positions (direct):
Hg  0.000  0.167  0.833
Hg  0.000  0.833  0.167
Rh  0.500  0.500  0.500
Pb  0.000  0.256  0.500
Pb  0.000  0.500  0.256
Pb  0.000  0.744  0.744
Pb  0.500  0.139  0.139
Pb  0.500  0.500  0.860
Pb  0.500  0.860  0.500

The 10 most intense peaks (10 to 80 degrees two-theta), low angle first:
- d = 2.976 Å, intensity 100
- d = 2.745 Å, intensity 33
- d = 2.685 Å, intensity 32
- d = 2.368 Å, intensity 41
- d = 2.281 Å, intensity 36
- d = 2.163 Å, intensity 21
- d = 1.684 Å, intensity 16
- d = 1.597 Å, intensity 25
- d = 1.526 Å, intensity 11
- d = 1.459 Å, intensity 13

~~~~~

Computed powder diffractogram of Al3Si5P8 for Cu Kα (weighted mean of Kα1 and Kα2), from a crystal structure in Alexandria, relaxed with PBE.
Intensities are scaled so that the largest is 100.

Lattice parameters (Å, degrees): 6.3047 6.3047 6.3047 90.00 90.00 90.00
Positions (direct):
Al: 0.0000 0.0000 0.5000
Al: 0.0000 0.5000 0.0000
Al: 0.5000 0.0000 0.0000
Si: 0.2848 0.2848 0.2848
Si: 0.2848 0.7152 0.7152
Si: 0.5000 0.5000 0.5000
Si: 0.7152 0.2848 0.7152
Si: 0.7152 0.7152 0.2848
P: 0.0000 0.0000 0.0000
P: 0.0000 0.5000 0.5000
P: 0.2047 0.2047 0.7953
P: 0.2047 0.7953 0.2047
P: 0.5000 0.0000 0.5000
P: 0.5000 0.5000 0.0000
P: 0.7953 0.2047 0.2047
P: 0.7953 0.7953 0.7953

Peak list (12 most intense, 2θ from 15° to 90°, by intensity)
- d 2.229, I = 100
- d 1.287, I = 21
- d 2.574, I = 21
- d 1.486, I = 13
- d 1.576, I = 12
- d 1.236, I = 7
- d 1.685, I = 7
- d 1.115, I = 6
- d 1.410, I = 4
- d 1.344, I = 3
- d 4.458, I = 1
- d 1.994, I = 1
=====
-- Assignment --
Now set down the lines above from the one with "Neutral-atom scattering" to the one with "1.576," character by character.
-- Outcome --
Neutral-atom scattering factors, no anomalous dispersion.

Crystal structure
Cell: 4.326 8.210 8.210 Å, 120.15 90.00 90.00°
Positions (direct):
Hg  0.000  0.167  0.833
Hg  0.000  0.833  0.167
Rh  0.500  0.500  0.500
Pb  0.000  0.256  0.500
Pb  0.000  0.500  0.256
Pb  0.000  0.744  0.744
Pb  0.500  0.139  0.139
Pb  0.500  0.500  0.860
Pb  0.500  0.860  0.500

The 10 most intense peaks (10 to 80 degrees two-theta), low angle first:
- d = 2.976 Å, intensity 100
- d = 2.745 Å, intensity 33
- d = 2.685 Å, intensity 32
- d = 2.368 Å, intensity 41
- d = 2.281 Å, intensity 36
- d = 2.163 Å, intensity 21
- d = 1.684 Å, intensity 16
- d = 1.597 Å, intensity 25
- d = 1.526 Å, intensity 11
- d = 1.459 Å, intensity 13

~~~~~

Computed powder diffractogram of Al3Si5P8 for Cu Kα (weighted mean of Kα1 and Kα2), from a crystal structure in Alexandria, relaxed with PBE.
Intensities are scaled so that the largest is 100.

Lattice parameters (Å, degrees): 6.3047 6.3047 6.3047 90.00 90.00 90.00
Positions (direct):
Al: 0.0000 0.0000 0.5000
Al: 0.0000 0.5000 0.0000
Al: 0.5000 0.0000 0.0000
Si: 0.2848 0.2848 0.2848
Si: 0.2848 0.7152 0.7152
Si: 0.5000 0.5000 0.5000
Si: 0.7152 0.2848 0.7152
Si: 0.7152 0.7152 0.2848
P: 0.0000 0.0000 0.0000
P: 0.0000 0.5000 0.5000
P: 0.2047 0.2047 0.7953
P: 0.2047 0.7953 0.2047
P: 0.5000 0.0000 0.5000
P: 0.5000 0.5000 0.0000
P: 0.7953 0.2047 0.2047
P: 0.7953 0.7953 0.7953

Peak list (12 most intense, 2θ from 15° to 90°, by intensity)
- d 2.229, I = 100
- d 1.287, I = 21
- d 2.574, I = 21
- d 1.486, I = 13
- d 1.576, I = 12